Cloud Computing

Hybrid Cloud

cloud services

What is hybrid cloud

The term “hybrid cloud” refers to an infrastructure that is a combination of on-premise server infrastructure and different public and private cloud-based solutions. Not all applications are “cloud-ready” or suited for the cloud platform and must, therefore, be maintained in an on-premise infrastructure.

We refer to a mixture of cloud and on-premise infrastructure as a “hybrid cloud”. A public and private hybrid cloud solution allows organisations to get the best of both worlds, choosing the best solution according to each application or system.

What is a private cloud?

Cloud computing on the private cloud means that the cloud environment is used exclusively by your business or organisation.

Private cloud solutions are used by companies that need to keep information completely secure, like financial institutions, hospitals, or other institutions needing additional security and compliance. The private cloud may be hosted at your place of business, or at a data centre held by a third party.

Your individual cloud strategy will always maintain that the private cloud will be on a private network, and the software and technology will be unique to your business. Cloud computing this way increases security for your business without having to add additional resources to secure your assets.

What is the public cloud?

The public cloud is held by a third-party vendor and with this type of cloud, all software, resources, and applications are managed by the public cloud providers. Access to your account and account management is all done through a web browser. Development environment, office applications, web-based email and storage are all done through the public cloud.

The public cloud is held by a third-party vendor and with this type of cloud, all software, resources, and applications are managed by the public cloud providers. Access to your account and account management is all done through a web browser. Development environment, office applications, web-based email and storage are all done through the public cloud.

Speak to our team of cloud experts at TechBrain about which hybrid cloud service providers best suit your business needs. As a reseller of cloud service providers, we can offer hybrid cloud computing services in Perth, Melbourne, Sydney and other major cities in Australia.

cloud deployment, private cloud vs public cloud, pros cons

TechBrain hybrid cloud

Hybrid cloud management is a complex field, and most organisations need a little assistance in choosing, migrating to and using their new cloud environment.

TechBrain can help you:

  • Navigate the cloud market
  • Control your cloud costs
  • Migrate data, tools, apps, software and other technology
  • Identify and protect against any possible security risks
  • Ensure regulatory compliance
  • Accelerate your business processes through hybrid cloud solutions
  • Ensure your network remains secure, while still offering flexibility
  • Implement hypervisor systems and virtual machines
  • Assist with automation and orchestration
  • Act as your go-between with cloud providers like IBM, Microsoft and others
  • Untap the full power of hybrid cloud storage!

We can also offer hybrid cloud monitoring, and train you in using your hybrid cloud management platform to gain a competitive advantage.

Expert Analysis

Hybrid cloud services –
the best of both worlds?

Both public and private cloud storage have their own set of advantages and disadvantages. Which type of cloud hosting is right for your organisation will hang off a number of factors. These include the types of data you work with, what your industry regulations are, how large your business is, and what level of security you need to ensure.

It’s easy to assume that a hybrid cloud strategy will solve all your problems – but it’s important to realise that it does add an additional layer of complexity. Here are some of the main hybrid cloud benefits and drawbacks.


  • The combined benefit of migrating to both private and public infrastructures
  • This includes increased efficiency and the flexibility to meet disparate needs
  • Building a hybrid cloud with private infrastructure that’s directly accessible greatly reduces access time and latency in comparison to a public cloud service
  • Flexibility in designs
  • Particularly valuable for dynamic or versatile workloads and applications
  • Easy access to powerful public cloud infrastructure when additional computing resources are needed in real-time


  • Integration of applications and security can attract a higher management overhead
  • Dilution of knowledge – multiple cloud providers can result in loss of control over systems knowledge
  • The security risk is typically increased as credentials may not be integrated or synchronised
  • Systems can be “detached” if poorly implemented with outage as a possibility
  • Complex licensing model that can be cumbersome to manage and can potentially introduce duplicate costs

Materials data that have nothing to do with the page =
No. 1
## TmCrO4 (PBE+U)

Data for a relaxed TmCrO4 crystal.

Calculated values
The calculation puts the energy with MP2020 corrections at -0.3103 hartree per atom. Its density is 6.0 Mg/m³. The calculated formation energy is -16.74 eV per formula unit. Its energy is -7.653 eV/atom.

Cell: 7.1187 7.1187 6.2332 Å, 90.00 90.00 90.00°
Last column: nearest neighbours and their distance in Å.
Space group I4_1/amd (No. 141, origin choice 2)
Inequivalent atoms, fractional coordinates:
Tm (0.0000, 0.2500, 0.3750)  8 O 2.28-2.41
Cr (0.0000, 0.2500, 0.8750)  4 O 1.72
O (0.0000, 0.0642, 0.6979)  1 Cr 1.72

=====

No. 2
## MgFe3Ni2SbP6O24 (PBE+U)

Data for a relaxed MgFe3Ni2SbP6O24 crystal.

Calculated values
The calculation puts the energy with MP2020 corrections at -0.2759 hartree per atom. Its density is 3.6 Mg/m³. The calculated formation energy is -83.82 eV per formula unit. Its energy is -6.741 eV/atom.

Cell: 8.6970 8.6970 21.3103 Å, 90.00 90.00 120.00°
Last column: nearest neighbours and their distance in Å.
Space group R3 (No. 146, hexagonal axes)
Inequivalent atoms, fractional coordinates:
Mg (0.0000, 0.0000, 0.0000)  6 O 2.08-2.09
Fe (0.0000, 0.0000, 0.1219)  6 O 2.08-2.16
Fe (0.0000, 0.0000, 0.6024)  6 O 1.94-2.10
Fe (0.0000, 0.0000, 0.8773)  6 O 2.07-2.21
Ni (0.0000, 0.0000, 0.2505)  6 O 2.13-2.24
Ni (0.0000, 0.0000, 0.7443)  6 O 2.15-2.19
Sb (0.0000, 0.0000, 0.3964)  6 O 1.95-2.04
P (0.0031, 0.7090, 0.5013)  4 O 1.52-1.59
P (0.0355, 0.3641, 0.6678)  4 O 1.53-1.61
O (0.0015, 0.1726, 0.6716)  1 P 1.54
O (0.0088, 0.1994, 0.9435)  1 P 1.53
O (0.0270, 0.8307, 0.1844)  1 P 1.55
O (0.0474, 0.8374, 0.5556)  1 P 1.52
O (0.1444, 0.4698, 0.7248)  1 P 1.53
O (0.1604, 0.6849, 0.4814)  1 P 1.54
O (0.1608, 0.7080, 0.1074)  1 P 1.59
O (0.1703, 0.4919, 0.9966)  1 P 1.61

=====

No. 3
## MgFe4Co2O12 (PBE+U)

Data for a relaxed MgFe4Co2O12 crystal.

Calculated values
The calculation puts the energy with MP2020 corrections at -0.2606 hartree per atom. Its density is 4.2 Mg/m³. The calculated formation energy is -25.65 eV per formula unit. Its energy is -6.010 eV/atom.

Cell: 8.1162 6.2078 8.6509 Å, 90.00 90.32 90.00°
Last column: nearest neighbours and their distance in Å.
Space group Cm (No. 8)
Inequivalent atoms, fractional coordinates:
Mg (0.0000, 0.0000, 0.0000)  4 O 1.91-1.99
Fe (0.2033, 0.5000, 0.3332)  4 O 1.83-1.93
Fe (0.2046, 0.5000, 0.6635)  4 O 1.83-1.93
Fe (0.2904, 0.0000, 0.8190)  5 O 1.88-2.10
Fe (0.2910, 0.0000, 0.1799)  3 O 1.86-1.96
Co (0.1273, 0.0000, 0.4986)  5 O 1.81-1.91
Co (0.1726, 0.5000, 0.9980)  6 O 1.85-1.93
O (0.0196, 0.5000, 0.1597)  1 Fe 1.86, 1 Co 1.88
O (0.0212, 0.5000, 0.8366)  1 Co 1.85, 1 Fe 1.88
O (0.0631, 0.5000, 0.4982)  2 Fe 1.83
O (0.1975, 0.1904, 0.9986)  1 Co 1.93, 1 Mg 1.99, 2 Fe 2.10
O (0.1987, 0.1887, 0.3386)  1 Co 1.91, 2 Fe 1.93-1.96
O (0.1995, 0.1889, 0.6588)  1 Co 1.91, 2 Fe 1.93-1.96
O (0.3337, 0.5000, 0.1560)  1 Fe 1.87, 1 Co 1.89, 1 Mg 1.91
O (0.3353, 0.5000, 0.8410)  1 Fe 1.86, 1 Co 1.90, 1 Mg 1.91

Cost Ramifications:

Someone pasted records of crystals at this point.
<<<
[1]
Compound: LiV2O4
Source: Materials Project
Functional: PBE with a Hubbard U
Structure: relaxed

a b c (Å): 5.9253 5.9253 5.9253
angles (deg): 60.00 60.00 60.00
Closest atoms and distances in Å follow each position.
Atoms (fractional coordinates):
1 Li 0.1250 0.1250 0.1250  4 O 1.97
2 Li 0.8750 0.8750 0.8750  4 O 1.97
3 V 0.0000 0.5000 0.5000  6 O 2.01
4 V 0.5000 0.0000 0.5000  6 O 2.01
5 V 0.5000 0.5000 0.0000  6 O 2.01
6 V 0.5000 0.5000 0.5000  6 O 2.01
7 O 0.2610 0.2610 0.2610  1 Li 1.97, 3 V 2.01
8 O 0.2610 0.2610 0.7171  1 Li 1.97, 3 V 2.01
9 O 0.2610 0.7171 0.2610  1 Li 1.97, 3 V 2.01
10 O 0.2829 0.7390 0.7390  1 Li 1.97, 3 V 2.01
11 O 0.7171 0.2610 0.2610  1 Li 1.97, 3 V 2.01
12 O 0.7390 0.2829 0.7390  1 Li 1.97, 3 V 2.01
13 O 0.7390 0.7390 0.2829  1 Li 1.97, 3 V 2.01
14 O 0.7390 0.7390 0.7390  1 Li 1.97, 3 V 2.01

Summary:
DFT formation energy	-239	kJ per mole of atoms
polymorph energy (0 for the lowest one)	0.183	eV per formula unit
uncorrected energy	-7.299	eV per atom

---

[2]
Compound: LiMn2OF5
Source: Materials Project
Functional: PBE with a Hubbard U
Structure: relaxed

a b c (Å): 5.1200 4.7322 17.2931
angles (deg): 90.00 91.45 90.00
Closest atoms and distances in Å follow each position.
Atoms (fractional coordinates):
1 Li 0.0000 0.2392 0.0000  4 F 1.98-2.17, 1 O 2.14
2 Li 0.0000 0.7608 0.5000  4 F 1.98-2.17, 1 O 2.14
3 Li 0.5048 0.2604 0.2290  4 F 1.98-2.17
4 Li 0.5048 0.7396 0.7290  4 F 1.98-2.17
5 Mn 0.0110 0.2495 0.6650  6 F 2.03-2.23
6 Mn 0.0110 0.7505 0.1650  6 F 2.03-2.23
7 Mn 0.0180 0.2600 0.3292  1 O 1.89, 5 F 1.96-2.09
8 Mn 0.0180 0.7400 0.8292  1 O 1.89, 5 F 1.96-2.09
9 Mn 0.4786 0.2945 0.9009  2 O 1.83-1.86, 3 F 1.92-1.98
10 Mn 0.4786 0.7055 0.4009  2 O 1.83-1.86, 3 F 1.92-1.98
11 Mn 0.5030 0.2680 0.5556  1 O 1.88, 3 F 1.93-1.98
12 Mn 0.5030 0.7320 0.0556  1 O 1.88, 3 F 1.93-1.98
13 O 0.3214 0.4877 0.3258  2 Mn 1.83-1.89
14 O 0.3214 0.5123 0.8258  2 Mn 1.83-1.89
15 O 0.3379 0.4939 0.9826  2 Mn 1.86-1.88
16 O 0.3379 0.5061 0.4826  2 Mn 1.86-1.88
17 F 0.1755 0.0358 0.2430  1 Li 2.01, 2 Mn 2.01-2.07
18 F 0.1755 0.9642 0.7430  1 Li 2.01, 2 Mn 2.01-2.07
19 F 0.1841 0.0387 0.5681  2 Mn 1.98-2.16, 1 Li 1.99
20 F 0.1841 0.9613 0.0681  2 Mn 1.98-2.16, 1 Li 1.99
21 F 0.1894 0.0362 0.9040  2 Mn 1.92-2.09
22 F 0.1894 0.9638 0.4040  2 Mn 1.92-2.09
23 F 0.3378 0.4870 0.6514  1 Li 1.98, 2 Mn 2.03-2.15
24 F 0.3378 0.5130 0.1514  1 Li 1.98, 2 Mn 2.03-2.15
25 F 0.6591 0.0366 0.9750  2 Mn 1.98-2.17, 1 Li 2.03
26 F 0.6591 0.9634 0.4750  2 Mn 1.98-2.17, 1 Li 2.03
27 F 0.6630 0.0392 0.6381  2 Mn 1.95-2.08
28 F 0.6630 0.9608 0.1381  2 Mn 1.95-2.08
29 F 0.7060 0.0214 0.3198  1 Mn 1.96, 1 Li 2.17
30 F 0.7060 0.9786 0.8198  1 Mn 1.96, 1 Li 2.17
31 F 0.8160 0.4870 0.9014  2 Mn 1.95-2.03
32 F 0.8160 0.5130 0.4014  2 Mn 1.95-2.03
33 F 0.8227 0.4823 0.5663  1 Mn 1.93, 1 Li 1.98
34 F 0.8227 0.5177 0.0663  1 Mn 1.93, 1 Li 1.98
35 F 0.8364 0.4766 0.2396  1 Li 1.99, 2 Mn 2.05-2.06
36 F 0.8364 0.5234 0.7396  1 Li 1.99, 2 Mn 2.05-2.06

Summary:
>>>

  • Can opt for the best value solution based on each application or data set
  • Can typically become more expensive if the integration with existing systems is not properly handled
  • Can increase the complexity of the design and therefore increase operational costs

If you are considering a hybrid cloud service solution for your organisation in Australia please call us for a no-obligation discussion on your options around cloud applications, hybrid and on-premise.

We can undertake an analysis of the costs associated with each alternative and, with consideration to your operational needs, security risks, and longer term business objectives, make recommendations that will save you time and money.

Remember that if you’re not certain what cloud applications you need, or which type of cloud model is right for you, we’re here to help!

Schedule a free consultation, and we’ll be happy to assist you in making the best cloud storage choice for your organisation. In the meantime, check out some of the most common questions we receive around hybrid cloud hosting below.


What is cloud computing?

While you’ve probably heard this term thrown around a lot, actually defining it is a bit trickier! The name is a little misleading too, as data stored ‘on the cloud’ is typically stored at a data centre, very much on (and often under) the ground.

In its simplest terms, a cloud platform stores your organisation’s data somewhere other than on your own servers. You can choose whether to use a public cloud platform, where you share technology at a data centre with other organisations or bring in cloud architects to create your own private cloud environment.

Public cloud storage is offered by public cloud providers like Dell EMC, Amazon Web Services, and IBM Cloud. Private cloud data centres and virtual machine services are offered by companies like VMware vSphere, Hewlett Packard Enterprise, and Red Hat.

And then, of course, you have hybrid cloud data services, which brings the two together. A hybrid cloud storage environment requires the services of a third-party vendor (that’s us!) to implement. We don’t offer cloud software or hardware ourselves, but rather help businesses and other organisations select and manage the hybrid cloud solution that’s right for their needs.

What are cloud-based applications?

Cloud-based apps are pieces of software that acts as an interface between you, the user, and the data centre where processing takes place. In simple terms, cloud-based applications are the tools you use to interact with your private, public or hybrid cloud service. DropBox and Google Drive are examples of the public cloud, Microsoft Azure of the private cloud, and Red Hat is an example of the hybrid cloud.

What is cloud automation?

In the past, IT staff dealing with enterprise solutions had their hands very full indeed managing cloud workloads. Resources like virtual machines had to be sized and configured, clusters and loads needed to be balanced, and availability of resources required constant monitoring. All of this had to be done manually! Thankfully, using automation and orchestration tools, these processes can now run without human intervention!

How do I pick the right cloud model?

As we talked about above, private, public and hybrid cloud services all have their own advantages and disadvantages. Hybrid cloud solutions offer a great deal of flexibility, are very cost-effective, and highly scalable – but also allow you to retain greater control over your most sensitive data.

This is why we find them to be the best cloud model for many of our clients. That’s not to say they’ll be appropriate for all our clients, however. If you’re in doubt or finding the process of selecting a suitable cloud strategy confusing, then give us a shout! Our cloud experts are on hand to assist you.